_Input_
-- begin --
(1)
Structure and computed X-ray diffraction stick pattern of Co7CuAs4H4O20 (a crystal structure in the Materials Project, relaxed with PBE+U; Cu Ka).
Lines closer than 0.1° are merged.

Structural model:
```
36
Lattice="8.452 0.000 0.000 0.000 6.152 0.000 -0.014 0.000 8.573" Properties=species:S:1:pos:R:3 pbc="T T T"
Co 0.000 0.000 0.000
Co 1.134 1.513 5.370
Co 1.134 4.638 5.370
Co 2.295 0.000 2.199
Co 4.226 3.076 6.485
Co 5.379 1.553 1.105
Co 5.379 4.599 1.105
Cu 6.478 3.076 4.223
As 3.243 0.000 7.564
As 3.267 3.076 3.277
As 7.464 3.076 7.463
As 7.518 0.000 3.230
H 2.977 0.000 4.612
H 3.571 3.076 0.321
H 7.209 3.076 1.918
H 7.778 0.000 6.157
O 0.239 0.000 6.499
O 0.290 0.000 2.009
O 0.524 3.076 6.633
O 1.772 3.076 4.135
O 2.013 0.000 0.183
O 2.061 0.000 4.281
O 3.084 1.393 6.556
O 3.084 4.759 6.556
O 3.449 1.687 2.260
O 3.449 4.465 2.260
O 4.495 3.076 0.005
O 4.493 3.076 4.486
O 4.742 0.000 8.432
O 6.020 0.000 2.349
O 6.233 3.076 6.236
O 6.287 3.076 2.253
O 7.285 1.697 8.499
O 7.285 4.455 8.499
O 7.710 1.399 4.226
O 7.710 4.753 4.226
```

Most intense lines, 2θ = 15–90°, by angle:
| Position (°2θ) | intensity |
| --- | --- |
| 17.8 | 100 |
| 20.7 | 60 |
| 29.7 | 92 |
| 32.7 | 53 |
| 33.1 | 32 |
| 35.9 | 53 |
| 36.1 | 27 |
| 36.3 | 53 |
| 36.6 | 47 |
| 56.7 | 39 |

(2)
Structure and computed X-ray diffraction stick pattern of KCo3CuAs3O12 (a crystal structure in the Materials Project, relaxed with PBE+U; Cu Ka).
Lines closer than 0.1° are merged.

Structural model:
```
40
Lattice="6.201 -6.461 0.000 6.201 6.461 0.000 -2.764 0.000 6.347" Properties=species:S:1:pos:R:3 pbc="T T T"
K 4.129 6.283 4.760
K 5.510 -6.283 1.587
Co 0.969 2.041 3.994
Co 5.510 3.116 1.587
Co 2.351 -2.041 0.820
Co 7.288 2.041 5.526
Co 4.129 -3.116 4.760
Co 8.670 -2.041 2.353
Cu 4.129 0.027 4.760
Cu 5.510 -0.027 1.587
As 2.594 1.489 0.808
As 4.129 2.772 4.760
As 1.212 -1.489 3.982
As 8.427 1.489 2.365
As 5.510 -2.772 1.587
As 7.045 -1.489 5.538
O 3.882 4.266 0.753
O 1.821 2.444 2.028
O 4.283 3.725 3.321
O 0.497 0.062 3.974
O 1.879 -0.062 0.800
O 3.974 3.725 6.199
O 4.300 1.447 1.180
O 2.875 1.549 4.685
O 7.139 4.266 2.421
O 0.439 -2.444 5.201
O 5.382 1.549 4.835
O 2.918 -1.447 4.354
O 6.721 1.447 1.993
O 4.257 -1.549 1.512
O 9.200 2.444 1.146
O 2.501 -4.266 3.926
O 6.764 -1.549 1.662
O 5.339 -1.447 5.167
O 5.665 -3.725 0.148
O 7.760 0.062 5.547
O 9.142 -0.062 2.373
O 5.356 -3.725 3.026
O 7.819 -2.444 4.319
O 5.757 -4.266 5.594
```

Most intense lines, 2θ = 15–90°, by angle:
| Position (°2θ) | intensity |
| --- | --- |
| 24.5 | 28 |
| 26.9 | 72 |
| 28.1 | 36 |
| 31.5 | 60 |
| 31.9 | 100 |
| 32.9 | 37 |
| 33.4 | 20 |
| 53.4 | 23 |
| 53.5 | 20 |
| 56.3 | 21 |

(3)
Structure and computed X-ray diffraction stick pattern of Fe2CoAs2O14 (a crystal structure in the Materials Project, relaxed with PBE+U; Cu Ka).
Lines closer than 0.1° are merged.

Structural model:
```
38
Lattice="9.661 0.000 0.000 0.000 9.691 0.000 -0.609 0.000 5.564" Properties=species:S:1:pos:R:3 pbc="T T T"
Fe 0.388 1.409 0.851
Fe 0.083 3.436 3.633
Fe 8.969 6.255 1.930
Fe 8.665 8.282 4.712
Co 4.526 0.000 2.782
Co 4.831 4.846 0.000
As 1.611 0.670 3.689
As 1.916 4.176 0.907
As 7.137 5.516 4.656
As 7.441 9.021 1.874
O 0.212 7.144 0.446
O -0.093 7.393 3.228
O 0.553 0.067 4.937
O 0.858 4.779 2.155
O 1.217 0.144 2.099
O 0.913 4.701 4.881
O 1.765 2.376 3.816
O 2.070 2.470 1.034
O 3.467 4.889 1.273
O 3.163 9.648 4.055
O 3.345 6.268 4.646
O 3.650 8.269 1.864
O 4.204 6.756 5.488
O 4.509 7.781 2.706
O 4.544 1.910 2.857
O 4.848 2.935 0.075
O 5.403 1.422 3.700
O 5.707 3.424 0.918
O 5.890 0.043 1.509
O 5.585 4.803 4.291
O 6.983 7.221 4.530
O 7.287 7.315 1.748
O 8.140 4.990 0.682
O 7.835 9.547 3.464
O 8.195 4.912 3.408
O 8.499 9.625 0.627
O 9.145 2.298 2.336
O 8.841 2.548 5.117
```

Most intense lines, 2θ = 15–90°, by angle:
| Position (°2θ) | intensity |
| --- | --- |
| 18.4 | 71 |
| 20.6 | 33 |
| 21.4 | 100 |
| 25.5 | 20 |
| 29.6 | 25 |
| 32.1 | 59 |
| 33.5 | 29 |
| 33.6 | 18 |
| 35.5 | 20 |
| 38.7 | 25 |
-- stop --
_Activity_
What is needed: say how many lines of the data further above hold the word "of", as a bare number.
_Response_
3